## Brief
What is needed: repeat everything further below exactly.

## Source
........
# C4H7NO

A molecular structure, C4H7NO (ωB97M-V with the def2-TZVPD basis set, the OMol25 dataset).

XYZ file:
```
13
Properties=species:S:1:pos:R:3:forces:R:3
C 0.019 0.011 -0.036 1.03 -2.10 3.23
C -0.392 -1.030 -1.034 0.13 0.08 0.04
C -1.089 0.717 0.691 -0.03 0.09 -0.26
N 1.109 0.816 -0.437 1.50 1.52 -0.46
C 1.967 0.494 0.428 2.27 2.21 -2.64
O 3.093 0.518 0.816 -2.09 -0.84 0.58
H 0.897 -0.481 0.990 -2.81 -0.92 -0.64
H -0.740 -0.491 -1.922 0.00 0.06 -0.01
H -0.698 1.379 1.460 -0.04 -0.05 0.03
H 0.461 -1.632 -1.339 -0.07 -0.06 0.02
H -1.205 -1.655 -0.671 0.07 -0.05 0.04
H -1.814 0.019 1.106 0.07 -0.01 0.07
H -1.606 1.335 -0.051 -0.02 0.06 0.00
```
Forces are in eV/Å.

Molar mass: 85.106 g/mol
HOMO-LUMO gap: 9.65 eV
ΔE to the lowest compared entry with this formula, charge and spin: 75.5 kcal per mole
LUMO level: -0.2 eV
F_max: 4.12 eV/A


Entry 1:
DFT (ωB97M-V with the def2-TZVPD basis set) results for C27H68BNO27 as an isolated structure in a non-equilibrium geometry.

XYZ file:
```
124
C27H68BNO27, DFT ωB97M-V with the def2-TZVPD basis set
C -0.3001 -0.1139 2.0668
N -0.1553 -0.2387 0.5233
C 1.0621 0.5772 0.1856
C 0.2740 -1.6552 0.2786
C -1.3320 0.1412 -0.1324
C -1.2241 0.4076 -1.5789
O -2.4876 0.4717 -2.2612
H 0.5291 -0.5091 2.6311
H -1.0580 -0.5781 2.6157
H -0.4075 0.9516 2.2720
H 1.2144 0.6197 -0.9189
H 1.9607 0.6089 0.6013
H 0.6667 1.5907 0.3135
H 1.0423 -2.2465 0.9315
H 0.8216 -1.7684 -0.6524
H -0.8343 -2.1847 0.3342
H -1.6623 1.0757 0.2285
H -2.1772 -0.4559 0.2270
H -0.6793 -0.3536 -1.9358
H -0.6590 1.3078 -1.8936
H -2.2883 0.1964 -3.3782
O -0.2991 4.7821 5.1489
C 0.2896 3.6474 5.4071
O 1.4881 3.4313 5.2114
B 1.5448 1.9954 5.0304
O 0.2488 1.5128 5.4385
C -0.4985 2.4984 5.4520
O -1.7355 2.5063 5.7576
O 2.5736 1.4984 5.8981
C 3.3284 0.7395 5.2133
O 3.9089 -0.4115 5.6107
C 3.0076 0.9570 3.8458
O 2.0346 1.7301 3.6746
O 3.6088 0.4753 2.8353
C -0.3151 4.4559 -2.6443
C 1.1787 4.2298 -3.2036
O 1.3315 4.8926 -4.4743
O -0.4643 3.7181 -1.5117
H -1.0887 4.0081 -3.3524
H -0.7681 5.6092 -2.6304
H 1.2290 3.2852 -3.3463
H 2.1289 4.5312 -2.6117
H 2.3053 4.9366 -4.8332
H -1.0302 4.3457 -0.8005
C -2.4839 1.1733 -5.5080
C -3.3264 2.3312 -4.9769
O -2.5795 3.4879 -5.1229
O -3.3206 0.0889 -5.2131
H -1.6190 1.1612 -4.8854
H -2.0274 1.2480 -6.5902
H -3.2394 2.3095 -3.9516
H -4.4769 2.4336 -5.4784
H -2.6108 3.6998 -5.9956
H -2.9498 -0.6530 -5.5604
C -2.5266 4.8117 1.0414
C -1.7178 4.0051 2.0529
O -2.3463 2.7849 2.2820
O -2.0265 6.0070 0.4873
H -3.4166 4.9566 1.5145
H -2.8029 4.1511 0.2012
H -1.7665 4.8200 2.6483
H -0.6741 3.8829 1.5094
H -3.3173 2.7575 2.5408
H -1.9247 6.6466 1.2529
C 3.2171 -5.1723 3.2681
C 2.6585 -4.1235 2.3367
O 2.2632 -4.5852 1.0920
O 3.3939 -4.5565 4.4579
H 4.1959 -5.5668 2.8976
H 2.8490 -5.9138 3.4416
H 3.3122 -3.2699 2.3228
H 1.7291 -3.7141 2.9530
H 3.0413 -4.4644 0.6252
H 4.0119 -5.0977 5.1014
C -1.6176 -4.0324 4.1893
C -2.9419 -4.0190 3.2685
O -3.6545 -5.1433 3.4683
O -0.9285 -2.7485 4.0211
H -0.9208 -4.5743 3.8725
H -1.8943 -4.4459 5.1329
H -2.7329 -4.0680 2.1800
H -3.5857 -3.1852 3.5497
H -3.0538 -5.7056 4.0559
H -0.1736 -2.5817 4.4838
C 4.1695 -1.0164 -2.9516
C 4.2443 -2.2755 -2.0326
O 5.5793 -2.7194 -1.9619
O 2.8467 -0.6033 -3.0184
H 4.4877 -1.5001 -3.9110
H 4.8725 -0.2070 -2.7124
H 3.6802 -3.1498 -2.2557
H 3.8094 -2.0785 -0.8477
H 5.8653 -2.0715 -1.2715
H 2.6701 -0.3502 -3.9310
C -5.2708 -1.2872 -1.0164
C -5.9732 -1.3760 0.3577
O -5.3641 -0.5830 1.4751
O -5.9533 -2.0000 -1.9745
H -4.3349 -1.5639 -0.8802
H -5.4869 -0.1820 -1.3664
H -5.9080 -2.3561 0.7203
H -7.1303 -0.9525 0.3047
H -5.9136 -0.8361 2.2792
H -5.7922 -2.9579 -1.6597
C -1.6953 -3.1484 -5.4107
C -1.6924 -2.5182 -4.0209
O -0.7780 -3.2144 -3.1203
O -2.6531 -2.3756 -6.1651
H -1.7490 -4.1928 -5.2371
H -0.7187 -3.0220 -5.9486
H -2.7079 -2.5307 -3.6025
H -1.3356 -1.4221 -3.9080
H 0.0071 -3.3352 -3.6873
H -3.4535 -2.9406 -6.2296
C 6.1878 1.4897 1.3132
C 5.1259 1.8311 0.2612
O 3.9199 2.2256 0.9844
O 7.3578 1.1734 0.7184
H 5.8507 0.7775 2.0144
........

## Response
# C4H7NO

A molecular structure, C4H7NO (ωB97M-V with the def2-TZVPD basis set, the OMol25 dataset).

XYZ file:
```
13
Properties=species:S:1:pos:R:3:forces:R:3
C 0.019 0.011 -0.036 1.03 -2.10 3.23
C -0.392 -1.030 -1.034 0.13 0.08 0.04
C -1.089 0.717 0.691 -0.03 0.09 -0.26
N 1.109 0.816 -0.437 1.50 1.52 -0.46
C 1.967 0.494 0.428 2.27 2.21 -2.64
O 3.093 0.518 0.816 -2.09 -0.84 0.58
H 0.897 -0.481 0.990 -2.81 -0.92 -0.64
H -0.740 -0.491 -1.922 0.00 0.06 -0.01
H -0.698 1.379 1.460 -0.04 -0.05 0.03
H 0.461 -1.632 -1.339 -0.07 -0.06 0.02
H -1.205 -1.655 -0.671 0.07 -0.05 0.04
H -1.814 0.019 1.106 0.07 -0.01 0.07
H -1.606 1.335 -0.051 -0.02 0.06 0.00
```
Forces are in eV/Å.

Molar mass: 85.106 g/mol
HOMO-LUMO gap: 9.65 eV
ΔE to the lowest compared entry with this formula, charge and spin: 75.5 kcal per mole
LUMO level: -0.2 eV
F_max: 4.12 eV/A


Entry 1:
DFT (ωB97M-V with the def2-TZVPD basis set) results for C27H68BNO27 as an isolated structure in a non-equilibrium geometry.

XYZ file:
```
124
C27H68BNO27, DFT ωB97M-V with the def2-TZVPD basis set
C -0.3001 -0.1139 2.0668
N -0.1553 -0.2387 0.5233
C 1.0621 0.5772 0.1856
C 0.2740 -1.6552 0.2786
C -1.3320 0.1412 -0.1324
C -1.2241 0.4076 -1.5789
O -2.4876 0.4717 -2.2612
H 0.5291 -0.5091 2.6311
H -1.0580 -0.5781 2.6157
H -0.4075 0.9516 2.2720
H 1.2144 0.6197 -0.9189
H 1.9607 0.6089 0.6013
H 0.6667 1.5907 0.3135
H 1.0423 -2.2465 0.9315
H 0.8216 -1.7684 -0.6524
H -0.8343 -2.1847 0.3342
H -1.6623 1.0757 0.2285
H -2.1772 -0.4559 0.2270
H -0.6793 -0.3536 -1.9358
H -0.6590 1.3078 -1.8936
H -2.2883 0.1964 -3.3782
O -0.2991 4.7821 5.1489
C 0.2896 3.6474 5.4071
O 1.4881 3.4313 5.2114
B 1.5448 1.9954 5.0304
O 0.2488 1.5128 5.4385
C -0.4985 2.4984 5.4520
O -1.7355 2.5063 5.7576
O 2.5736 1.4984 5.8981
C 3.3284 0.7395 5.2133
O 3.9089 -0.4115 5.6107
C 3.0076 0.9570 3.8458
O 2.0346 1.7301 3.6746
O 3.6088 0.4753 2.8353
C -0.3151 4.4559 -2.6443
C 1.1787 4.2298 -3.2036
O 1.3315 4.8926 -4.4743
O -0.4643 3.7181 -1.5117
H -1.0887 4.0081 -3.3524
H -0.7681 5.6092 -2.6304
H 1.2290 3.2852 -3.3463
H 2.1289 4.5312 -2.6117
H 2.3053 4.9366 -4.8332
H -1.0302 4.3457 -0.8005
C -2.4839 1.1733 -5.5080
C -3.3264 2.3312 -4.9769
O -2.5795 3.4879 -5.1229
O -3.3206 0.0889 -5.2131
H -1.6190 1.1612 -4.8854
H -2.0274 1.2480 -6.5902
H -3.2394 2.3095 -3.9516
H -4.4769 2.4336 -5.4784
H -2.6108 3.6998 -5.9956
H -2.9498 -0.6530 -5.5604
C -2.5266 4.8117 1.0414
C -1.7178 4.0051 2.0529
O -2.3463 2.7849 2.2820
O -2.0265 6.0070 0.4873
H -3.4166 4.9566 1.5145
H -2.8029 4.1511 0.2012
H -1.7665 4.8200 2.6483
H -0.6741 3.8829 1.5094
H -3.3173 2.7575 2.5408
H -1.9247 6.6466 1.2529
C 3.2171 -5.1723 3.2681
C 2.6585 -4.1235 2.3367
O 2.2632 -4.5852 1.0920
O 3.3939 -4.5565 4.4579
H 4.1959 -5.5668 2.8976
H 2.8490 -5.9138 3.4416
H 3.3122 -3.2699 2.3228
H 1.7291 -3.7141 2.9530
H 3.0413 -4.4644 0.6252
H 4.0119 -5.0977 5.1014
C -1.6176 -4.0324 4.1893
C -2.9419 -4.0190 3.2685
O -3.6545 -5.1433 3.4683
O -0.9285 -2.7485 4.0211
H -0.9208 -4.5743 3.8725
H -1.8943 -4.4459 5.1329
H -2.7329 -4.0680 2.1800
H -3.5857 -3.1852 3.5497
H -3.0538 -5.7056 4.0559
H -0.1736 -2.5817 4.4838
C 4.1695 -1.0164 -2.9516
C 4.2443 -2.2755 -2.0326
O 5.5793 -2.7194 -1.9619
O 2.8467 -0.6033 -3.0184
H 4.4877 -1.5001 -3.9110
H 4.8725 -0.2070 -2.7124
H 3.6802 -3.1498 -2.2557
H 3.8094 -2.0785 -0.8477
H 5.8653 -2.0715 -1.2715
H 2.6701 -0.3502 -3.9310
C -5.2708 -1.2872 -1.0164
C -5.9732 -1.3760 0.3577
O -5.3641 -0.5830 1.4751
O -5.9533 -2.0000 -1.9745
H -4.3349 -1.5639 -0.8802
H -5.4869 -0.1820 -1.3664
H -5.9080 -2.3561 0.7203
H -7.1303 -0.9525 0.3047
H -5.9136 -0.8361 2.2792
H -5.7922 -2.9579 -1.6597
C -1.6953 -3.1484 -5.4107
C -1.6924 -2.5182 -4.0209
O -0.7780 -3.2144 -3.1203
O -2.6531 -2.3756 -6.1651
H -1.7490 -4.1928 -5.2371
H -0.7187 -3.0220 -5.9486
H -2.7079 -2.5307 -3.6025
H -1.3356 -1.4221 -3.9080
H 0.0071 -3.3352 -3.6873
H -3.4535 -2.9406 -6.2296
C 6.1878 1.4897 1.3132
C 5.1259 1.8311 0.2612
O 3.9199 2.2256 0.9844
O 7.3578 1.1734 0.7184
H 5.8507 0.7775 2.0144